Dr David Wood BVSc, MRCVS

With much of the country still in the worst drought in decades, rain for many horse owners is something they yearn for and lush green pasture just a distant memory. But, when the rains do come, and in some lucky spots they already started, the grass will grow again and that can bring some risks which horse keepers would do well to keep in mind.

When the drought breaks it’s very tempting to turn your horses out at the first sign of green in the paddock. Try to resist the temptation and wait a while until the grass is 15cm to 20cm high. In the long run it will benefit both your horses and the pasture. Grazing too early will result in over grazing and die back of desirable grasses and legumes, encouraging weeds to compete and flourish. A little patience will reap rewards for both horse and pasture health. Be a farmer and manage pastures like farmers do even if it’s only a small area.

Fresh young grass can be high in carbohydrates like sugars and fructans, as well as water. You can’t tell by looking at it but many a horse has foundered after hoeing into the stuff with no restriction. By letting it grow for a while the grass can develop both its root system and stems which will make it more resilient to grazing. On sandy pasture the fresh new shoots get pulled out roots and all by grazing horses, along with attached sand which then accumulates in the hind gut causing sand colic. Western Australia is the sand colic capital of the world and horse vets there know to expect a slew of colic’s starting a fortnight after the first rains of winter. Restricting early access to newly watered pasture can lower the risk of that happening. On sandy paddocks especially it is safer to allow time for the root system to get properly bedded in and to limit grazing time, or use a grazing muzzle.

The right way to approach using this lovely fresh pasture is to control intake and allow the horses gut microflora some time to adjust. This is achieved partly by restricting access and partly by feeding your horse its normal hay and concentrate ration prior to turning out. This will blunt the appetite and reduce the pasture gobble rate. Ideally you should start with about 15 minutes access, rising by 15 minutes per day until unrestricted turn out is permitted after a couple of weeks. With ponies, extra vigilance is needed – research has demonstrated that they can consume a prodigious amount of fresh pasture in only a couple of hours – a full days expected ration, especially if they know access is to be withheld. Ponies are cunning creatures, and quite often greedy too so laminitis is a constant threat. Exercise a bit of tough love and don’t let them pig out.

Where rains have been heavy, and pasture has become waterlogged or flooded (we’re still a land of droughts and flooding rains, we hope) another risk can grow in the form of mold and the toxins it produces, called mycotoxins. These are many and varied and can cause a wide range of symptoms in horses ranging from excess salivation and nervous signs to more subtle symptoms such as ill thrift following liver damage, diarrhea and colic. Molds like persistent warm damp conditions so when the rains do eventually come please be alert to the possibility and watch out for signs of mold which often starts spotting and blackening dead pasture plants first. Hay stored outside is susceptible too and needs protection from the wet. If you suspect your horse has symptoms related to mycotoxins remove him from the suspect pasture and talk to your vet.

____________
Record 1
DFT (ωB97M-V/def2-TZVPD) results for a cluster of 2 separate species, C21H25ClN2O2 in total.

Summary:
* electronic energy: -41762.2511 eV
* energy above the lowest of the compared OMol25 structures with the same formula, charge and spin: 467.6 kcal per mole
* gap between HOMO and LUMO: 7.30 eV
* largest force on an atom: 15.2 eV/A

Each line ends with the Mulliken charge.
CARTESIAN COORDINATES (ANGSTROEM)
1 C -2.45 -2.79 -3.14  -1.5007
2 C -1.27 -3.63 -3.33  -0.5061
3 H -0.70 -3.31 -4.30  0.3493
4 H -1.48 -4.59 -3.48  0.4100
5 C -0.48 -3.24 -2.08  0.0071
6 C -0.92 -3.80 -0.77  0.3860
7 N -1.10 -2.92 0.22  -0.2251
8 N -1.83 -3.25 1.09  0.0765
9 C -2.10 -2.36 2.10  -0.2183
10 O -2.55 -2.88 3.27  -0.7042
11 C -1.72 -1.00 1.80  0.9632
12 C -1.55 -0.09 2.91  -0.2720
13 C -1.61 1.26 2.99  -1.5367
14 C -1.49 1.72 1.63  1.2024
15 C -1.94 1.06 0.50  -2.2261
16 C -1.90 -0.35 0.80  0.4399
17 H -2.31 -0.96 -0.01  0.3594
18 H -1.91 1.49 -0.30  0.9397
19 C -1.43 3.17 1.41  -0.6731
20 O -0.81 3.66 0.31  -0.4039
21 C 0.32 3.47 -0.15  0.4894
22 C 1.46 2.66 0.70  -0.0222
23 C 2.64 2.35 0.19  0.8194
24 C 3.11 2.91 -0.92  0.3749
25 C 1.99 3.71 -2.05  -0.9806
26 C 0.74 3.84 -1.34  -0.2979
27 H -0.03 4.55 -1.76  0.2326
28 H 2.43 4.00 -2.85  0.6064
29 Cl 4.64 2.70 -1.47  -0.2225
30 C 3.50 1.56 1.14  -1.8803
31 H 3.03 1.22 1.86  0.6211
32 H 4.28 2.28 1.27  0.3326
33 H 3.87 0.69 0.48  0.3154
34 H 0.87 2.30 1.70  -0.0441
35 H -2.39 3.80 1.68  0.1899
36 H -0.63 3.55 2.20  0.4780
37 H -1.32 1.82 3.67  0.7162
38 H -1.32 -0.76 4.18  0.0773
39 H -1.91 -4.29 1.40  0.3067
40 C -1.05 -5.30 -0.79  -2.2007
41 H -0.65 -5.86 0.24  0.3274
42 H -2.03 -5.47 -0.45  0.6629
43 H -0.94 -5.76 -1.61  0.5658
44 C 1.05 -3.93 -2.23  -1.5248
45 H 1.00 -4.98 -2.66  0.3159
46 H 1.46 -3.66 -3.15  0.5224
47 H 1.64 -3.95 -1.36  0.3835
48 H -0.22 -2.34 -1.82  0.7108
49 H -3.08 -3.08 -2.47  0.5106
50 H -2.97 -2.77 -4.11  0.4543
51 H -2.29 -1.68 -3.13  0.2921


Record 2
DFT (ωB97M-V/def2-TZVPD) results for a structure of composition C21H25CoN5O5P.

Summary:
* electronic energy: -86773.5602 eV
* energy above the lowest of the compared OMol25 structures with the same formula, charge and spin: 9.6 kcal per mole
* gap between HOMO and LUMO: 6.81 eV
* largest force on an atom: 0.8 eV/A
* total charge: +2

Each line ends with the Mulliken charge.
CARTESIAN COORDINATES (ANGSTROEM)
1 Co -0.54 0.72 0.51  -0.1679
2 O 5.44 -4.62 0.43  -0.4500
3 C 4.10 -4.54 0.53  0.5133
4 O 3.42 -5.51 0.60  -0.5018
5 C 3.48 -3.16 0.56  0.4302
6 C 2.32 -3.01 1.31  -1.2543
7 C 1.64 -1.80 1.30  -0.0132
8 C 2.13 -0.75 0.53  0.6423
9 C 3.28 -0.90 -0.23  -0.4591
10 C 3.96 -2.11 -0.21  -0.9967
11 N 1.43 0.50 0.52  0.7229
12 C 2.05 1.61 0.47  -0.2668
13 C 1.27 2.81 0.23  0.3009
14 C 1.80 4.08 0.15  -0.9555
15 C 0.95 5.12 -0.23  -0.3597
16 C -0.37 4.83 -0.54  -0.8152
17 C -0.83 3.52 -0.40  -0.1449
18 N -0.03 2.54 0.00  0.9413
19 H 5.87 -3.76 0.49  0.3398
20 H 1.95 -3.85 1.87  0.4804
21 H 0.73 -1.70 1.86  0.0993
____________

So, if you and your pastures are still in drought, by all means pray for rain, but just keep the above as a note of caution in the back of your mind so your horses can enjoy their Dr. Green safely when the long awaited downpour eventually arrives.